Brief
Your job: find the line underneath that holds "C30 1.411", then print that line and all lines after it there.

Given
/*
A cluster of 12 separate species, C17H57F3N11O14S in total in a non-equilibrium geometry. Source: the OMol25 dataset; level of theory: wB97M-V/def2-TZVPD.

* net charge: -1

Last columns: bonded neighbours and bond lengths (Å).
CARTESIAN COORDINATES (ANGSTROEM)
1 C 0.83 0.61 -0.19  F2 1.347, F3 1.339, F4 1.312, S5 1.861
2 F 1.67 -0.40 -0.47  C1 1.347
3 F 0.87 0.78 1.14  C1 1.339
4 F 1.22 1.69 -0.82  C1 1.312
5 S -0.89 0.05 -0.61  C1 1.861, O6 1.444, O7 1.455, O8 1.455
6 O -1.06 -1.19 0.12  S5 1.444
7 O -1.75 1.14 -0.18  S5 1.455
8 O -0.93 -0.09 -2.06  S5 1.455
9 C 2.92 -0.03 -4.16  C10 1.531, H15 1.092, H16 1.093, H17 1.090
10 C 2.84 -1.52 -4.49  C9 1.531, C11 1.512, N14 1.487, H18 1.094
11 C 2.82 -2.35 -3.22  C10 1.512, O12 1.392, H19 1.109, H20 1.104
12 O 3.08 -3.70 -3.41  C11 1.392, C13 1.406
13 C 3.27 -4.35 -2.18  O12 1.406, H21 1.089, H22 1.098, H23 1.097
14 N 1.60 -1.81 -5.26  C10 1.487, H24 1.015, H25 1.019
15 H 3.79 0.19 -3.54  C9 1.092
16 H 2.01 0.28 -3.63  C9 1.093
17 H 2.99 0.54 -5.08  C9 1.090
18 H 3.70 -1.81 -5.10  C10 1.094
19 H 1.86 -2.05 -2.74  C11 1.109
20 H 3.55 -1.95 -2.49  C11 1.104
21 H 3.41 -5.42 -2.35  C13 1.089
22 H 2.39 -4.23 -1.53  C13 1.098
23 H 4.15 -3.95 -1.65  C13 1.097
24 H 1.66 -1.37 -6.17  N14 1.015
25 H 0.90 -1.29 -4.74  N14 1.019
26 C -2.34 -5.32 0.51  C27 1.520, H32 1.097, H33 1.089, H34 1.096
27 C -1.05 -4.90 -0.17  C26 1.520, C28 1.521, N31 1.469, H35 1.103
28 C -0.21 -6.07 -0.66  C27 1.521, O29 1.410, H36 1.099, H37 1.093
29 O 0.29 -6.86 0.40  C28 1.410, C30 1.411
30 C 1.49 -6.37 0.95  O29 1.411, H38 1.094, H39 1.096, H40 1.093
31 N -1.43 -4.01 -1.27  C27 1.469, H41 1.015, H42 1.015
32 H -2.88 -4.41 0.80  C26 1.097
33 H -2.27 -5.98 1.37  C26 1.089
34 H -3.07 -5.76 -0.18  C26 1.096
35 H -0.48 -4.34 0.59  C27 1.103
36 H 0.56 -5.67 -1.34  C28 1.099
37 H -0.85 -6.71 -1.27  C28 1.093
38 H 1.90 -7.20 1.54  C30 1.094
39 H 1.34 -5.57 1.68  C30 1.096
40 H 2.21 -6.08 0.18  C30 1.093
41 H -1.97 -3.27 -0.84  N31 1.015
42 H -0.62 -3.56 -1.69  N31 1.015
43 C 2.14 3.20 4.58  C44 1.522, H49 1.095, H50 1.087, H51 1.089
44 C 3.19 3.35 5.67  C43 1.522, C45 1.514, N48 1.481, H52 1.092
45 C 2.73 4.32 6.74  C44 1.514, O46 1.411, H53 1.103, H54 1.106
46 O 3.76 4.63 7.66  C45 1.411, C47 1.408
47 C 3.44 5.75 8.45  O46 1.408, H55 1.087, H56 1.096, H57 1.095
48 N 3.44 2.01 6.24  C44 1.481, H58 1.015, H59 1.016
49 H 1.27 2.66 4.95  C43 1.095
50 H 2.58 2.62 3.77  C43 1.087
51 H 1.78 4.16 4.20  C43 1.089
52 H 4.10 3.78 5.24  C44 1.092
53 H 1.84 3.97 7.28  C45 1.103
54 H 2.38 5.25 6.25  C45 1.106
55 H 4.08 5.72 9.33  C47 1.087
56 H 2.40 5.76 8.80  C47 1.096
57 H 3.59 6.64 7.83  C47 1.095
58 H 2.55 1.70 6.62  N48 1.015
59 H 4.09 2.13 7.02  N48 1.016
60 O 2.57 4.48 -2.04  H61 0.961, H62 0.963
61 H 2.50 5.38 -1.70  O60 0.961
62 H 2.28 3.93 -1.32  O60 0.963
63 O -2.45 1.99 -4.26  H64 0.964, H65 0.961
64 H -1.99 2.20 -3.44  O63 0.964
65 H -1.91 1.33 -4.68  O63 0.961
66 O -1.90 -1.20 2.79  H67 0.960, H68 0.974
67 H -1.12 -1.27 3.35  O66 0.960
68 H -1.56 -1.24 1.88  O66 0.974
69 O 4.32 -1.28 0.94  H70 0.963, H71 0.962
70 H 3.36 -1.20 1.03  O69 0.963
71 H 4.61 -1.71 1.75  O69 0.962
72 C -3.77 4.12 -1.39  O73 1.233, N74 1.379, N75 1.362
73 O -2.85 4.87 -1.04  C72 1.233
74 N -4.97 4.62 -1.84  C72 1.379, H76 1.000, H77 1.005
75 N -3.76 2.77 -1.24  C72 1.362, H78 1.004, H79 1.019
76 H -5.03 5.58 -2.14  N74 1.000
77 H -5.57 3.90 -2.20  N74 1.005
78 H -4.37 2.17 -1.77  N75 1.004
79 H -2.91 2.39 -0.82  N75 1.019
80 C -4.95 -1.30 0.35  O81 1.229, N82 1.360, N83 1.371
81 O -5.97 -1.98 0.22  C80 1.229
82 N -4.24 -0.91 -0.74  C80 1.360, H84 1.017, H85 1.006
83 N -4.53 -0.80 1.55  C80 1.371, H86 1.009, H87 1.003
84 H -4.45 -1.31 -1.65  N82 1.017
85 H -3.43 -0.31 -0.65  N82 1.006
86 H -3.56 -0.50 1.62  N83 1.009
87 H -4.88 -1.22 2.39  N83 1.003
88 C 0.16 4.78 1.07  O89 1.224, N90 1.369, N91 1.367
89 O 1.27 4.84 1.58  C88 1.224
90 N -0.88 3.99 1.50  C88 1.369, H92 1.001, H93 1.005
91 N -0.20 5.57 0.02  C88 1.367, H94 1.002, H95 1.011
*/

Outcome
29 O 0.29 -6.86 0.40  C28 1.410, C30 1.411
30 C 1.49 -6.37 0.95  O29 1.411, H38 1.094, H39 1.096, H40 1.093
31 N -1.43 -4.01 -1.27  C27 1.469, H41 1.015, H42 1.015
32 H -2.88 -4.41 0.80  C26 1.097
33 H -2.27 -5.98 1.37  C26 1.089
34 H -3.07 -5.76 -0.18  C26 1.096
35 H -0.48 -4.34 0.59  C27 1.103
36 H 0.56 -5.67 -1.34  C28 1.099
37 H -0.85 -6.71 -1.27  C28 1.093
38 H 1.90 -7.20 1.54  C30 1.094
39 H 1.34 -5.57 1.68  C30 1.096
40 H 2.21 -6.08 0.18  C30 1.093
41 H -1.97 -3.27 -0.84  N31 1.015
42 H -0.62 -3.56 -1.69  N31 1.015
43 C 2.14 3.20 4.58  C44 1.522, H49 1.095, H50 1.087, H51 1.089
44 C 3.19 3.35 5.67  C43 1.522, C45 1.514, N48 1.481, H52 1.092
45 C 2.73 4.32 6.74  C44 1.514, O46 1.411, H53 1.103, H54 1.106
46 O 3.76 4.63 7.66  C45 1.411, C47 1.408
47 C 3.44 5.75 8.45  O46 1.408, H55 1.087, H56 1.096, H57 1.095
48 N 3.44 2.01 6.24  C44 1.481, H58 1.015, H59 1.016
49 H 1.27 2.66 4.95  C43 1.095
50 H 2.58 2.62 3.77  C43 1.087
51 H 1.78 4.16 4.20  C43 1.089
52 H 4.10 3.78 5.24  C44 1.092
53 H 1.84 3.97 7.28  C45 1.103
54 H 2.38 5.25 6.25  C45 1.106
55 H 4.08 5.72 9.33  C47 1.087
56 H 2.40 5.76 8.80  C47 1.096
57 H 3.59 6.64 7.83  C47 1.095
58 H 2.55 1.70 6.62  N48 1.015
59 H 4.09 2.13 7.02  N48 1.016
60 O 2.57 4.48 -2.04  H61 0.961, H62 0.963
61 H 2.50 5.38 -1.70  O60 0.961
62 H 2.28 3.93 -1.32  O60 0.963
63 O -2.45 1.99 -4.26  H64 0.964, H65 0.961
64 H -1.99 2.20 -3.44  O63 0.964
65 H -1.91 1.33 -4.68  O63 0.961
66 O -1.90 -1.20 2.79  H67 0.960, H68 0.974
67 H -1.12 -1.27 3.35  O66 0.960
68 H -1.56 -1.24 1.88  O66 0.974
69 O 4.32 -1.28 0.94  H70 0.963, H71 0.962
70 H 3.36 -1.20 1.03  O69 0.963
71 H 4.61 -1.71 1.75  O69 0.962
72 C -3.77 4.12 -1.39  O73 1.233, N74 1.379, N75 1.362
73 O -2.85 4.87 -1.04  C72 1.233
74 N -4.97 4.62 -1.84  C72 1.379, H76 1.000, H77 1.005
75 N -3.76 2.77 -1.24  C72 1.362, H78 1.004, H79 1.019
76 H -5.03 5.58 -2.14  N74 1.000
77 H -5.57 3.90 -2.20  N74 1.005
78 H -4.37 2.17 -1.77  N75 1.004
79 H -2.91 2.39 -0.82  N75 1.019
80 C -4.95 -1.30 0.35  O81 1.229, N82 1.360, N83 1.371
81 O -5.97 -1.98 0.22  C80 1.229
82 N -4.24 -0.91 -0.74  C80 1.360, H84 1.017, H85 1.006
83 N -4.53 -0.80 1.55  C80 1.371, H86 1.009, H87 1.003
84 H -4.45 -1.31 -1.65  N82 1.017
85 H -3.43 -0.31 -0.65  N82 1.006
86 H -3.56 -0.50 1.62  N83 1.009
87 H -4.88 -1.22 2.39  N83 1.003
88 C 0.16 4.78 1.07  O89 1.224, N90 1.369, N91 1.367
89 O 1.27 4.84 1.58  C88 1.224
90 N -0.88 3.99 1.50  C88 1.369, H92 1.001, H93 1.005
91 N -0.20 5.57 0.02  C88 1.367, H94 1.002, H95 1.011